I've never posted here until now but I lurk constantly and read almost everything in every thread I find...

I've never posted here until now but I lurk constantly and read almost everything in every thread I find. I'm red pilled and far more intelligent than I was before thanks largely in part to the information here so before I get to the topic thank you in general to Sup Forums.

There is always a lot of discussion here about world governments, secret agendas, deep state nonsense and the true rulers of the world but I'd like to know what the direction is. It's almost obvious when you've got people like Soros who manages to evade the spotlight yet has his fingers in everything one can imagine that something far more sinister is going on. The question I'm asking here is 'why'. He has money, power, influence and the ability to remain far outside of any nations law and more people like him do exist.

If there is in fact an agenda higher than all other agendas what would it be. Why are these ultra rich people so concerned with world governments and why do they try to destroy them? The motivation can't be money, they have more of it than anyone else. In your opinion what is actually going on behind the curtain.

Other urls found in this thread:


They're Jewish; its in their nature

The only reason that I can think of is that it must be because of some spiritual or religious reason. Everything else just doesn't make sense.

>doesn't mention jews.

Fuck off you lying shill.

lurk at least two more years before posting again.

Some advice:
Your post is very verbose
bottom line up front

Looks to either:
>Jews win
>Whites wn
>Jesus returns
I'm betting on Jesus. A Jewish victory would be hell on earth and a white one would neccessitate destroying most of whats good about whites.

I really can't figure this out either. The best that I can think of is that they want to merge with machines and live eternally, while exterminating the middle and working classes.

What do people who have everything need?

The agenda is to ensure as many souls die from the eternal death as possible.

The question you're asking is "what's their endgame", but you didn't know that do you must be new

You don't seem to have an answer either.



mentality, fucked up brains and thinking

i think you are not red-pilled but brown-pilled, meaning you ate too much conspiracy shit

there is no global conspiracy or an equivalent. few years ago a mathematician did a calculation on how long it would take a conspiracy on average till it would leak from the inside. he used a variety of different values for his parameters (amount of people involved, ...) and the short answer is:
if there was ever a bigger conspiracy, it would have already been leaked completely in full detail (eg snowden style)

Can you give me a source for this please? I'd like to read it.

go on youtube and lookup crazy old jews from Israel. With all the war stuff happening since 9/11 they think were are in the End of Days. T_D is Lucifer and they couldn't be happier that things are only getting worse. Enjoy OP!

its too long ago so i dont remember, but if you google for half an hour you will find it. afaik it was definitly after 2010 so it will still be there

Thank you then.

I'm going to bed so I'll keep it short.

It's about control. People at high levels of power have a neurotic lust for control which predisposes them to be corrupted.

Money is a tool, not an end.

There is a religious component but it's really deep and complicated. Read into the Zohar, Talmud, Masonic history, communist history, and the Protocols.

And finally there is the deeper occult meaning and motivation, which is a level deeper than their rituals and power structures and philosophy.

It's complicated, but lurk more, and pipe up and ask questions when you have them. This place is ideally built of discussion, and you get what you put in.

The main agenda is to bring the world together under the rule of the anti christ. The elite are all luciferians

PS I highly recommend you read "Under the Sign of the Scorpion"

It's a good book to get a good overview of many of the different incarnations of "it".


Its pure Bolshevism just hidden behind different names. It springs essentially from Jews growing up being taught of how persecuted they've been and how they were chosen to be in control rather than how to find a place within the society they live in. This leads them to be dissatisfied with societies that are entirely fair to them and in turn to attempt to convince anyone that will listen that society is rotten and Marxist ideals must be enacted to destroy all remnants of the society that persecuted them, and also to place them firmly in control.
All identity politics are just arms of trying to create disaffected populations within society which in turn will revolt and brutally enact their Socialism

<<<
[1]
Compound: KFeNi2
Source: Alexandria via LeMat-Bulk
Functional: PBE-GGA
Structure: optimized geometry

Polymorph energy (0 for the lowest one), eV per atom: 0.486
Crystal system: orthorhombic
Space group: Cmmm (65)

```
KFeNi2
1.0
-0.2981 3.8296 5.3066
-0.1870 -4.8941 0.1269
2.1811 -0.0435 1.4520
Fe K Ni
1 1 2
direct
0.0000 0.5000 0.5000
0.5000 0.5000 0.0000
0.0000 0.0000 0.0000
0.5000 0.0000 0.5000
```

***

[2]
Compound: Sc2AlB2Rh5
Source: Alexandria via LeMat-Bulk
Functional: PBE-GGA
Structure: optimized geometry

Crystal system: tetragonal
Space group: P4/mbm (127)

```
Sc2AlB2Rh5
1.0
-1.9880 2.2624 0.5747
-0.1228 -2.3999 9.0224
7.1073 5.8270 1.6467
Sc Al B Rh
4 2 4 10
direct
0.0000 0.6749 0.1749
0.0000 0.3251 0.8251
0.0000 0.1749 0.3251
0.0000 0.8251 0.6749
0.0000 0.0000 0.0000
0.0000 0.5000 0.5000
0.0000 0.1245 0.6245
0.0000 0.8755 0.3755
0.0000 0.6245 0.8755
0.0000 0.3755 0.1245
0.5000 0.2159 0.0708
0.5000 0.7841 0.9292
0.5000 0.0708 0.7841
0.5000 0.7159 0.4292
0.5000 0.9292 0.2159
0.5000 0.2841 0.5708
0.5000 0.5708 0.7159
0.5000 0.4292 0.2841
0.5000 0.5000 0.0000
0.5000 0.0000 0.5000
```

***

[3]
Compound: Be2HSe
Source: Alexandria via LeMat-Bulk
Functional: PBE-GGA
Structure: optimized geometry

Polymorph energy (0 for the lowest one), eV per atom: 0.278
Crystal system: monoclinic
Space group: C2 (5)

```
Be2HSe
1.0
-2.8154 0.4824 -2.2611
0.1286 -3.3612 1.4022
-2.2279 1.2648 3.1156
Be H Se
2 1 1
direct
0.9311 0.3537 0.9294
0.4426 0.8654 0.2863
0.5623 0.2333 0.1074
0.9436 0.8520 0.6077
```

***

[4]
Compound: InSiSe2
Source: Alexandria via LeMat-Bulk
Functional: PBE-GGA
Structure: optimized geometry

Crystal system: cubic
Space group: F-43m (216)

```
InSiSe2
1.0
4.9543 0.0000 0.0000
2.4771 4.2905 0.0000
2.4771 1.4302 4.0452
In Se Si
1 2 1
direct
0.5000 0.5000 0.5000
0.0000 0.0000 0.0000
0.2500 0.2500 0.2500
0.7500 0.7500 0.7500
```
>>>

were all gonna die

It's part of life. We die in this world and become whole with Christ. Unfortunately, the godless think they can play God and cheat death.

yeah i know but no one will ever live again

If you believe in Christ you will have eternal life

living forever sounds like hell to me

Not if you're with Christ

its about a global economy

the ultimate shopping mall- earth

he sounds like a pussy faggot

power consolidation


They want to be the only species on the planet and see others as pee ons. So they want to be godlike beings or the only beings.

>Why are these ultra rich people so concerned with world governments and why do they try to destroy them?

Just because you're rich doesn't mean you're right, in touch with regular people, or value anything our country was founded on.

like Romney not knowing what the price of a gallon of milk was. Best example I can give. Also rich people have their own echo chambers which is the New York Times and Wallstreet Journal.

OP, the truth of the worlds elite agenda is truly terrifying.

Without question, the most praised deity by the global elite is THE ARCHANGEL LUCIFER.

And the Jews goal is to "lead all man astray from god" whilst they do shit like have naked house parties, pray before dinner, and know the truth of Luciferianism/practice it/and LIE ABOUT HOLY ARCHANGEL LUCIFER.

you sound like you are underage. checks with your flag.


Eyes wide shut is a good example of this.

It's the kikes dummy

>Muh redpill
I do agree that Sup Forums broadens your political spectrum since you can discuss and debate things here that are otherwise considered tabu. But you should take most shit you read here very lightly. Sure some things that are discussed here that seem way too convoluted to be real might still be true. But most talk, especially about an underlying world government and the (((jews))) are most likely just straight up fiction. I very much doubt the human ability to be diabolical enough to the extent that a small group of people can push a hidden agenda and control the world together.

Depopulation on a massive scale with the goal of creating a Utopia for the few remaining followers of Satan and their progeny.

Unfortunately it seems that the end game is the death of most humans. Incremental cultural battle seems to be losing its effectiveness. Now they're "predicting" 100M+ death pandemics.


Why are they so interested in forcing dozens of vaccines on babies by threat of jail? What else are they up to with vaccines? What will the Trump vaccine investigation uncover?


Why do elites get different vaccines than regular people?


>Business Insider
Hooktube that shit, it's like archive.is for youtube


>And to weigh in on the actual subject at hand
It's no secrete that rich and powerful people have closed meetings to discuss a hidden agenda. The Bilderberg group is among the most famous examples I guess. But I very much doubt the agenda is anything else than them agreeing on not fucking up the world completely. Basically just them taking responsibility for having the amount of power they do. I don't think there is a more diabolical underlying agenda than that.

Then ofc these powerful people go full lone wolf and uses their power to push their own personal agenda like Soros but I don't think that is anything else than semi bored rich people using their power to play 4d chess with the world. I mean wouldn't you?

>not fucking up the world completely

You mean not fucking it up for themselves.

well obviously the two are correlated. A broken world economy doesn't benefit them or us.


I just want to say a quick thing, I was there when he got shot ,he walked .. They walked him past me so I could see him and identify him because I knew him in the neighborhood.. and uhh the police officer said he didnt even know he was shot. So, if it gives you any comfort , I dont think he had any pain .. PHYSICALLY ..so , if that helps


Its because power is hard to hold onto. Their evil methods are to consolidate it for their future descendants

Damn, great read thanks for sharing

I think it transcends the material world. Ephesians says we are not in battle with the flesh but what is invisible; the "principalities" that rule. A global agenda which can sustain humans within immorality is the goal. What they refer to as Satan wants as many humans to spiritually perish as possible. It's working.

>Why are these ultra rich people so concerned with world governments and why do they try to destroy them?

You're asking a very vague question. These "ultra rich people" have always existed ever since the establishment of the first monarchies/republics/chiefdoms in the world. They are bankers, military leaders, merchants, union leaders etc etc.. I think you better study and read more about how governments actually work and operate before you dive into these conspiratard bullshits. Honestly a lot of it are just misguided and childish,trust me I've been there. The true red pill about governing billions of people is far more mundane, bleak and hopeless. It's honestly a chore to even dive into it without any education. Best stick to your race, religion politics and shits, that's where all the drama is.

Hi OP, here is the endgame

>since JFK was murked in 63, elite Jews have solidified a deep state assisted by WASPs (Bushes, Clintons, Cheney etc) and the CIA, who's relentless self preservation has supplanted Western democracy

>these Jewish elites bribe US politicians using the Fed Reserve, which they founded and control, and via Wall Street tips and Ivy League power, where they are now a silent majority, and also via Saudi oil shieks

>the Saudis are basically closet Jews, and Israelis, Zionists, and greedy WASPs have colluded for a New World Order

>the NWO entails a United State of Israel, a glorious ethno-theocratic Kingdom built on nat-socialism, having hegemony over the realm; Greater Israel will be the enlightened HQ of a globalist NWO, not the UN. It will control oil, and irs 400+ nukes at Dimona will be used as a threat to interference

>our present day is a latter conditioning stage: mixed race unions are propagated via MSM/Hollywood, porn is used to level out male aggression/attention, atheism is promoted because Christians are the last threat, and whites are losing their power in all sides

>global warming is justification for: energy oversight, surveillance if dissidents, travel restrictions, limitations of ownership *renting Apts and using Uber soon to be enforced*

>Jews believe their eons of persecution are over, and that this suffering was meant for them to oversee a Utopian system where all other races are goyim; moreover it justifies harsh measures to solidify their "promised" realm

>this is why the Clintons and Trumps have married and entangled into Jewish bloodlines, for leverage

>another 9/11 will occur soon, this will be bkamed blamed on Iran, Syria, and Putin, to clear out the Middle East in a final solution; ISIS is a proppedup bogeyman to prime Americans against Islam

>after this next 9/11, and WWIII (West vs Islam), a massive domestic culling will occur through disease or bioweapons, halving the Bible Belt. Jews win

Everything physical is a manifestation of the spiritual turmoil and tumble. These people don't matter but just represent the death of things. This can turn and move, but we have plummeted dangerously down towards Hell and when Hell snaps into reality, so does Heaven.

Newfags, as always, research

>Kalergi plan
>Oded-Yinon Plan
>Greater Israel Project
>Samson Option
>Urban Moving Systems / Dominik Suter x 9/11

>Henry Ford: The International Jew - The World's Foremost Problem
>Kevin MacDonald: The Culture of Critique
>E. Michael Jones: The Jewish Revolutionary Spirit
>Thomas Paine: Age & Reason (Jew Chapter)
>Martin Luther: On Jews & Their Lies
>Eustace Mullins
>William Pierce: The Turner Diaries
>Million Dollar Extreme: How to Bomb the US Gov

All are found online as PDF, save travels
